The above photo depicts a vacation phenomenon. Actually it depicts at least two vacation phenomenons, possibly three — no wait, four. Five.
The first vacation phenomenon depicted in the above photo: there is no plural for phenomenon, or so says spell check. Perhaps phenomenon is already the plural and phenomena is the singular and phenom is the lazy bastard cousin.
The second vacation phenomenon regarding the above photo would have to be the alternate photo Bossy shot for the purpose of this Ten-Word Tuesday, which she doesn’t want to post here OK if you insist because in this alternate photo Bossy’s shadow is so revolting Bossy wouldn’t be able to sleep with it for all the money in the world, through all eternity:
The third vacation phenomenon depicted by the above photo: when Bossy swims in the lake near her campground she gets what she likes to call Lake Champlain Hair, which is smooth and manageable and exactly like the Lake Champlain Hair you see pictured above, except way cuter and less frizzy and not really at all like the Lake Champlain hair captured in these photos so quit asking.
The real, or if you are one of those pesky enumerating types, fourth vacation phenomenon: many many lord why so many years ago, Bossy’s mom gave Bossy a classic white shirt. Except this classic white shirt didn’t seem especially classic, since it was always too stiff and thick, like canvas. And so Bossy could never get herself to wear this shirt, even though Bossy would optimistically try it on again and again, with many different things, before changing into something better else.
Here’s the phenomenon part: Bossy decided to pack this very shirt for her camping trip — you know, in case Bossy was in the just right situation that called for a stiff thick canvassy thing.
Well, it turns out Bossy wore this shirt every minute of every day during her vacation. Bossy layered this shirt over tank tops during the day, she wore this shirt over dresses to keep warm at night, she wore it over her bathing suit to keep from getting sunburnt, she wore it, wore it, and then wore it.
Bossy doesn’t know what it is about vacations that allow the usage of an otherwise ignored article of clothing, just like Bossy doesn’t know what it is about vacations that lead us to purchase tie-dye sarongs we just know we’re going to wear to dinner parties for the rest of our lives but end up abandoning as soon as the jet is taxiing on the runway out of Catalina, which leads Bossy to the last and final vacation phenomenon:
Bossy purchased these fake pink crocks at the campground grocery store last year for a few dollars, which is arguable four dollars too many. Except just to spite her retching son, Bossy proceeded to wear these crocks every minute of that camping vacation, and again this year, in and out of tile showers and muddy campsites and even to the occasional thai restaurant in the local city.
But take these same fake pink crocks, please, and stick them on the back porch in Bossy’s house and they’ll collect an inordinate amount of dust.
Bossy can sum up her vacation clothing phenomenon this way: The wide-brimmed straw hat from Mexico? Never worn once home.
Which is what today’s Ten-Word Challenge is all about. In exactly ten words, can you tell Bossy about an item of clothing you have worn or purchased on vacation that is perfect in those surroundings but doesn’t translate to your everyday wardrobe once you get home?
And be sure to check back later today for the most abandoned clothing items on the web.
If you missed last week’s Ten-Word Challenge, Top Chef Vacation, when Bossy’s council enumerated the foods they associate with vacations — in ten words — then click here. Bossy hates the thought of you missing these creative comments.
Cute ivory embrodered dress bartered for in Mexico hangs lonely.
ultra v-neck ceremonial Japanese tee: failed under scrutiny of peers.
Indian sarong bought in England, altered, appropriate nowhere.
I’ve only had vacations from hell, so I don’t purchase anything. EVER.
Ugly sunglasses from Utah purchased as an emergency pair.
Black straw cowboy hat perfect for Jazz Fest. Indianapolis? No.
Wide red belt. Bad call on that. Psst, it’s “phenomena.”
Poster from Memphis in May festival has hung nowhere. Ever.
Sleeveless turquoise linen dress. Perfect for sunburny skin, otherwise yecch!
Straw hat bought in Napa. Only looks good at wineries.
The ugly shirt: “one tequila, two tequila, three tequila, floor”.
St. Maarten Caribbean “outfit” insists on laughing from my closet
Floral sarong, bought in Hawaii, now daughters fav dress-up item.
Hawaiian shirt great on cruise; shamefully hides in Maryland closet.
–>@ 11, Begging for cowboy boots after Calgary Stampede. Never worn.
Tiara from Magic Kingdom
in drawer
begs for freedom
*Bossy, how I love being forced to rhyme in ten words EXCACTLY. Great fun!!*
Who wears summery small bare dresses in Pacific Northwest?
MATCHING Hawaiian gear, wore together to embarrass sister. Embarrassed ourselves instead.
Except I should really review befor posting as my fingers missed the “the” that should have been in there.
Tiara from Magic Kingdom
in the drawer
begs for freedom
Irresistibly clever shirt from a Charleston bar that says: “w.y.b.m.a.d.i.i.t.y?”
Caribbean blue print capris for cruise don’t fly in Ohio.
Fleece Winnie the Pooh sweatshirt.
Huge Pictorial.
Closing eyes now.
Straw cowboy hat. Mexico, super cute. Local pool, jack ass.
Oh….how about the matching Mexican outfits my husband and I purchased in Manzanillo, Mexico. (Mine happened to be a skirt and top that matched his shirt and pants.) All flowy and gauzy and stuff. You get the picture. It seemed appropriate at the time and went well with the music over there! We were thinking about having a Mexican themed party just so we could wear them again….although I doubt we would.
Sorry…forgot it was Ten- Word Tuesday.
Thank goodness for mossy oak and real tree camo underwear.
Green Mandarin gown bought in New Orleans yearns to shine
Not clothes… MUSIC! Turkish pop, Indonesian chants… sounds awful home.
Swimsuit, I’ll not traumatize my locals with dimply, white thighs
Batwing sweatshirt with Soviet flag stamped on it misses Leningrad.
Paris: dangly black scarf…perfect! Home: House of Bernarda Alba. *sigh*
Batwing and sweatshirt–two words I’ve never seen together before.
Beautiful (expensive) silky pink top from Paris. Never worn once.
Hot little dress in Vegas = I look like a prostitute.
Pink crocs make me want to throw-up too, Bossy’s son.
Pirate-themed Mickey ears seemed like a good idea at the time…
tie-dye sarong, fold up tote bag, floppy brim straw hat.
Expensive gauzy bathing-suit cover. Useless article at local pool.
Many layered, snot green peasant shirt with sparkly ribbons throughout.
15 kangas purchased in kenya sit in the garage, unworn.
Any and all of 5,000 local Harley shop T-shirts: Why??
Cowboy hat in Las Vegas, doesn’t seem to fit in back in Alaska….
Palm hat “custom” woven — Grenada. Never worn off-island. Worth it!
Straw cowboy hat in Tahoe…not so much in Pittsburgh.
Little Italian dress; stolen out of the trunk before worn.
Gauzy halter from Mexico…$80 sandals from Greece
Halter DRESS
Beaded bikini, big feathered headpiece, tons of rum- Trinidad Carnival
Doomed southern family vacation, straw bowler. Looks riduculous in NYC.
Multi-layered sarongs: Perfect in Key West, not so much Vermont.
The cowboy hat sold on the beach in Los Cabos Mexico. I didn’t buy one because I just knew how ridiculous it would look anywhere else. Of course my daughter bought one and it looks really good sitting in her closet.
Severe black manish suit bought in Paris. Sold to wannabe.
Really, these hiking boots will get worn plenty in city.
Tie-dye sarong bought at beach, husband hated, said SO WRONG!
White hat w/feather
Oh how faboo
Stuffed bear wear only
Vacation? What’s a vacation? Bather disintegrating in drawers. I think.
Vacation? What’s a vacation? Bather disintegrating in drawers. I think.
**These data records were left in the page by mistake:**
********
C26H22BrFeN5O13S as an isolated structure in a non-equilibrium geometry, computed with wB97M-V/def2-TZVPD.

As for the expectation value of S²: 6.01. The value obtained for the largest force on an atom is 0.03425 Eh/bohr. Its multiplicity is 5. For the HOMO-LUMO gap (spin up / spin down), the calculation gives 5.82 / 5.89 eV. Its charge is -2. Its HOMO energy (spin up / spin down) is -2.2403 / -2.3035 eV.

The geometry in XYZ format:
```
69
Properties=species:S:1:pos:R:3:lowdin_charge:R:1
Fe 0.38 -0.09 1.33 0.8695
O -3.41 1.72 0.02 0.0820
C -2.44 0.75 0.10 -0.4216
O -1.51 0.78 -0.65 0.0754
C -2.65 -0.27 1.19 -0.2320
C -3.91 -0.54 1.64 -0.0581
C -4.00 -1.47 2.73 -0.0923
C -2.89 -2.03 3.25 -0.0182
C -1.54 -1.73 2.70 -0.3138
N -1.51 -0.80 1.64 0.0570
C -0.53 -1.31 3.81 -0.6007
O -0.61 -1.91 4.90 -0.0028
O 0.29 -0.39 3.49 -0.0518
H -3.00 2.46 -0.45 0.0768
H -4.77 -0.04 1.22 0.0884
H -4.97 -1.70 3.16 0.0891
H -2.91 -2.70 4.09 0.1039
O 4.22 1.44 0.97 0.0085
C 2.99 1.49 1.03 -0.5930
O 2.20 0.48 0.99 -0.1151
C 2.31 2.86 1.09 -0.0266
C 3.12 3.97 1.10 0.0495
C 2.59 5.27 1.06 -0.1614
C 1.23 5.47 0.92 0.0479
C 0.42 4.38 0.85 -0.0693
C 0.86 3.03 1.09 -0.3149
O 0.02 2.15 1.31 -0.0024
N -1.00 4.61 0.51 -0.3176
O -1.51 3.88 -0.32 0.0494
O -1.57 5.59 1.00 0.0536
N 3.47 6.43 1.07 -0.3786
O 4.68 6.24 1.11 0.0309
O 2.96 7.55 1.02 0.0088
H 4.18 3.81 1.13 0.1216
H 0.82 6.47 0.83 0.1241
C 0.95 2.75 -3.84 -0.0856
C 0.14 1.94 -2.84 -0.2419
N 0.77 0.66 -2.51 0.0131
C 0.16 -0.54 -2.49 -0.8857
S 0.73 -1.75 -1.49 0.6885
N -0.92 -0.70 -3.34 -0.0220
C -0.75 -0.43 -4.77 -0.2611
C -2.09 -0.51 -5.47 -0.0963
H 0.52 3.75 -3.96 0.0710
H 0.98 2.27 -4.82 0.0550
H 1.98 2.87 -3.49 0.0746
H -0.86 1.73 -3.21 0.1056
H 0.02 2.50 -1.91 0.0984
H 1.49 0.72 -1.80 0.1123
H -1.33 -1.61 -3.16 0.1022
H -0.05 -1.15 -5.21 0.1169
H -0.33 0.56 -4.90 0.0812
H -2.50 -1.53 -5.42 0.0690
H -2.00 -0.25 -6.53 0.0664
H -2.81 0.16 -5.00 0.0751
Br -0.31 -8.37 3.40 0.6821
C 0.57 -6.97 2.44 -0.6745
C 1.72 -7.27 1.73 -0.1507
C 2.35 -6.25 1.04 -0.0724
C 1.85 -4.96 1.07 -0.0052
C 0.70 -4.69 1.79 -0.0933
C 0.04 -5.69 2.48 -0.0520
C 0.20 -3.25 1.82 -0.4535
O -1.02 -3.14 2.24 0.0789
O 0.95 -2.36 1.46 0.0054
H 2.11 -8.28 1.73 0.0904
H 3.25 -6.47 0.47 0.1007
H 2.33 -4.14 0.54 0.1221
H -0.86 -5.45 3.03 0.1191
```

C26H22Cl2N5O2RuSSi as an isolated structure in a non-equilibrium geometry, computed with wB97M-V/def2-TZVPD.

As for the expectation value of S²: 0.76. The value obtained for the largest force on an atom is 0.01953 Eh/bohr. Its multiplicity is 2. For the HOMO-LUMO gap (spin up / spin down), the calculation gives 6.85 / 6.36 eV. Its HOMO energy (spin up / spin down) is -7.2567 / -7.5815 eV.

The geometry in XYZ format:
```
60
Properties=species:S:1:pos:R:3:lowdin_charge:R:1
Ru 0.71 1.13 0.01 1.1685
Cl -1.79 5.95 -4.16 0.6685
C -1.52 4.94 -2.78 -0.6831
C -0.41 4.11 -2.77 -0.0311
C -0.18 3.28 -1.68 -0.1963
N 0.91 2.43 -1.52 -0.0321
C 2.12 2.65 -2.06 -0.4555
O 2.45 3.38 -2.99 0.0672
C 3.18 1.97 -1.22 -0.1656
********
**The data records stop here:**
Scottsdale Girl, I liked envisioning a gauzy HALTER on someone.
Rasta hat with dreads from Amsterdam.
HORRIBLE idea throughout UNIVERSE.
Sarong from hawaii
Junior’s Clothes, Target Swimwear, Sunblock, Pearl Thong, iPod, Fannie Pack
Backpack… sounded like a good idea. for vacation. Never used it.
Someone bought me a Hawaiian mumu on THEIR vacation UGH
Gargantuan ass squeezing Bart Simpson: “Crack Kills”. St.Paddy’s 1989 only.
Every single hat i own purchased on vacation never wear.
Matching dog breed t-shirts for husband and me – UP. CHUCK.
Bikini worn one week during teenage summer – where’s THAT body?
Turquois Mexican dress, I look like crap in that color.
Artsy embellished sweater skirt in Italy. Cool there, hotter’n hell here.
A coconut bra from South of the Border is lunacy.
Great deal $10 sweatshirt, diarrhea brown in color.
hiking boots. didn’t even wear them on VACATION. ewww, yick!
Sun-protective mini-skirt and jacket worn every dang day in Bahamas.
Bossy can wear one white thing
for that many days?
Recipe for attracting spills!
Over and over!
Green straw fedora , Charleston – cute in store, fugly on head
Maria 72 – I agree that would happen to me too
ten year old cow pie color timberland low hiking boots
Many hats bought because I forgot to pack many hats.
Hawaiian kukui necklace. Waiting for big-nut-necklace [one word!] trend to come back.
Tie-dyed tank top (Berkeley) makes me look fat now.
Moroccan caftan: sexy in Marrakech, now reminiscent of Dorothy Zbornak.
emerald green cloak from Ireland – never go anywhere fancy enough.
Feathered, sequined mask, only worn drinking Hurricanes in New Orleans.
Crawfish costume living in perpetuity on YouTube.
oops, forgot Ten word requirement. So….
Crawfish costume living in pertpetuity on YouTube. Please go watch..
Cannot complain because I almost always buy shoes.
Dress bought in Maui – okay, muumuu – now covers my swimsuit.
Bathing suits and aloe vera with Lidocaine. That is all.
Black flip flops from Brazil. I wore them for years.
Yellow and pink summer dress from Mexico. Never worn here.
Meg wishes her shadow was as lanky and slim as Olive Oyl’s, or Bossy’s.
Heavy, insulated duck boots (-18 degrees in Iowa) sit yearning for a romp here at the beach.
Maroon embroidered dress from Thailand. I swear to God it fit when I tried it on.